Job.
Duplicate everything underneath with every line break kept.
Input.
=====
! LiNiIrPb | Alexandria via LeMat-Bulk | PBE | relaxed; values from VASP
! * raw total energy: -5.02 eV/atom
! * space-group type: F-43m (216)
! * crystal system: cubic
! * mass density: 12.36 g/cm3
&SYSTEM
  ibrav = 0, nat = 4, ntyp = 4
/
ATOMIC_SPECIES
Li 6.94 Li.upf
Ni 58.69 Ni.upf
Ir 192.22 Ir.upf
Pb 207.20 Pb.upf
ATOMIC_POSITIONS angstrom
Li 0.0000 0.0000 0.0000
Ni 4.7246 4.7246 4.7246
Ir 3.1497 3.1497 3.1497
Pb 1.5749 1.5749 1.5749
CELL_PARAMETERS angstrom
0.0000 3.1497 3.1497
3.1497 0.0000 3.1497
3.1497 3.1497 0.0000

~~~~~

## Li6Ca3MnC6O18F2 (PBE with a Hubbard U)

Data for a relaxed structure of Li6Ca3MnC6O18F2.

Output
Symmetry   No. 1
Energy   -6.90 eV/atom
M_tot   5.00 μB/f.u.
Mass density   2.521 Mg/m³
Crystal system   triclinic

Cell: 6.7462 7.7892 8.8277 Å, 63.95 84.99 76.36°
Sites, in units of the cell vectors:
Li (0.0000, 0.0000, 0.0000)
Li (0.0287, 0.8052, 0.4232)
Li (0.1179, 0.3897, 0.8581)
Li (0.4636, 0.0388, 0.9961)
Li (0.5008, 0.7956, 0.4150)
Li (0.6321, 0.0400, 0.5557)
Ca (0.1434, 0.1056, 0.5821)
Ca (0.3479, 0.5353, 0.2497)
Ca (0.8423, 0.5799, 0.1627)
Mn (0.6377, 0.4580, 0.8484)
C (0.1763, 0.1662, 0.2128)
C (0.3693, 0.4041, 0.6087)
C (0.3815, 0.8059, 0.8388)
C (0.6716, 0.1674, 0.2097)
C (0.8530, 0.4293, 0.5883)
C (0.8785, 0.7875, 0.8084)
O (0.1658, 0.3345, 0.2154)
O (0.1696, 0.1552, 0.0719)
O (0.1939, 0.0102, 0.3559)
O (0.2647, 0.9419, 0.8726)
O (0.2865, 0.5840, 0.5119)
O (0.4032, 0.3454, 0.7685)
O (0.4160, 0.2795, 0.5413)
O (0.4283, 0.6267, 0.9545)
O (0.4498, 0.8474, 0.6872)
O (0.6678, 0.0086, 0.3440)
O (0.6704, 0.3288, 0.2211)
O (0.6763, 0.1693, 0.0599)
O (0.7100, 0.5744, 0.5830)
O (0.8165, 0.8776, 0.9024)
O (0.8975, 0.5960, 0.8771)
O (0.9075, 0.4015, 0.4559)
O (0.9214, 0.8818, 0.6509)
O (0.9450, 0.3042, 0.7331)
F (0.0407, 0.7534, 0.2107)
F (0.5373, 0.7574, 0.2036)

~~~~~

VASP calculation (PBE+U) on a relaxed CsVOF2 crystal.

CIF file:
```
data_CsVOF2
_cell_length_a 5.1919
_cell_length_b 5.1919
_cell_length_c 4.4440
_cell_angle_alpha 90.00
_cell_angle_beta 90.00
_cell_angle_gamma 90.00
_space_group_name_H-M_alt 'P 1'
_space_group_IT_number 1
_space_group_name_Hall 'P 1'
loop_
_atom_site_label
_atom_site_type_symbol
_atom_site_fract_x
_atom_site_fract_y
_atom_site_fract_z
F1 F 0.0000 0.5000 0.0000
F2 F 0.5000 0.0000 0.0000
Cs1 Cs 0.0000 0.0000 0.0000
O1 O 0.0000 0.0000 0.5000
V1 V 0.5000 0.5000 0.5000
```

Values from the calculation:
**Symmetry**: No. 123
**Energy relative to the lowest polymorph listed for this composition**: 2102 meV/atom
**Magnetic moment**: 3.8 μB/f.u.
**Raw total energy**: -3.67 eV per atom
=====
Completed.
! LiNiIrPb | Alexandria via LeMat-Bulk | PBE | relaxed; values from VASP
! * raw total energy: -5.02 eV/atom
! * space-group type: F-43m (216)
! * crystal system: cubic
! * mass density: 12.36 g/cm3
&SYSTEM
  ibrav = 0, nat = 4, ntyp = 4
/
ATOMIC_SPECIES
Li 6.94 Li.upf
Ni 58.69 Ni.upf
Ir 192.22 Ir.upf
Pb 207.20 Pb.upf
ATOMIC_POSITIONS angstrom
Li 0.0000 0.0000 0.0000
Ni 4.7246 4.7246 4.7246
Ir 3.1497 3.1497 3.1497
Pb 1.5749 1.5749 1.5749
CELL_PARAMETERS angstrom
0.0000 3.1497 3.1497
3.1497 0.0000 3.1497
3.1497 3.1497 0.0000

~~~~~

## Li6Ca3MnC6O18F2 (PBE with a Hubbard U)

Data for a relaxed structure of Li6Ca3MnC6O18F2.

Output
Symmetry   No. 1
Energy   -6.90 eV/atom
M_tot   5.00 μB/f.u.
Mass density   2.521 Mg/m³
Crystal system   triclinic

Cell: 6.7462 7.7892 8.8277 Å, 63.95 84.99 76.36°
Sites, in units of the cell vectors:
Li (0.0000, 0.0000, 0.0000)
Li (0.0287, 0.8052, 0.4232)
Li (0.1179, 0.3897, 0.8581)
Li (0.4636, 0.0388, 0.9961)
Li (0.5008, 0.7956, 0.4150)
Li (0.6321, 0.0400, 0.5557)
Ca (0.1434, 0.1056, 0.5821)
Ca (0.3479, 0.5353, 0.2497)
Ca (0.8423, 0.5799, 0.1627)
Mn (0.6377, 0.4580, 0.8484)
C (0.1763, 0.1662, 0.2128)
C (0.3693, 0.4041, 0.6087)
C (0.3815, 0.8059, 0.8388)
C (0.6716, 0.1674, 0.2097)
C (0.8530, 0.4293, 0.5883)
C (0.8785, 0.7875, 0.8084)
O (0.1658, 0.3345, 0.2154)
O (0.1696, 0.1552, 0.0719)
O (0.1939, 0.0102, 0.3559)
O (0.2647, 0.9419, 0.8726)
O (0.2865, 0.5840, 0.5119)
O (0.4032, 0.3454, 0.7685)
O (0.4160, 0.2795, 0.5413)
O (0.4283, 0.6267, 0.9545)
O (0.4498, 0.8474, 0.6872)
O (0.6678, 0.0086, 0.3440)
O (0.6704, 0.3288, 0.2211)
O (0.6763, 0.1693, 0.0599)
O (0.7100, 0.5744, 0.5830)
O (0.8165, 0.8776, 0.9024)
O (0.8975, 0.5960, 0.8771)
O (0.9075, 0.4015, 0.4559)
O (0.9214, 0.8818, 0.6509)
O (0.9450, 0.3042, 0.7331)
F (0.0407, 0.7534, 0.2107)
F (0.5373, 0.7574, 0.2036)

~~~~~

VASP calculation (PBE+U) on a relaxed CsVOF2 crystal.

CIF file:
```
data_CsVOF2
_cell_length_a 5.1919
_cell_length_b 5.1919
_cell_length_c 4.4440
_cell_angle_alpha 90.00
_cell_angle_beta 90.00
_cell_angle_gamma 90.00
_space_group_name_H-M_alt 'P 1'
_space_group_IT_number 1
_space_group_name_Hall 'P 1'
loop_
_atom_site_label
_atom_site_type_symbol
_atom_site_fract_x
_atom_site_fract_y
_atom_site_fract_z
F1 F 0.0000 0.5000 0.0000
F2 F 0.5000 0.0000 0.0000
Cs1 Cs 0.0000 0.0000 0.0000
O1 O 0.0000 0.0000 0.5000
V1 V 0.5000 0.5000 0.5000
```

Values from the calculation:
**Symmetry**: No. 123
**Energy relative to the lowest polymorph listed for this composition**: 2102 meV/atom
**Magnetic moment**: 3.8 μB/f.u.
**Raw total energy**: -3.67 eV per atom